### Assignment
It remains to retype the whole of the data underneath verbatim.

### Source
<<<
Here is a geometry-optimized Mg14CuSnO16 structure from Materials Project. Energies are from GGA-PBE.

a = 8.6862 Å, b = 8.6862 Å, c = 4.2944 Å
α = 90.00°, β = 90.00°, γ = 90.00°
Element x y z (fractional)
1 Mg 0.0000 0.2449 0.0000
2 Mg 0.0000 0.5000 0.5000
3 Mg 0.0000 0.7551 0.0000
4 Mg 0.2368 0.5000 0.0000
5 Mg 0.2407 0.2407 0.5000
6 Mg 0.2407 0.7593 0.5000
7 Mg 0.2449 0.0000 0.0000
8 Mg 0.5000 0.0000 0.5000
9 Mg 0.5000 0.2368 0.0000
10 Mg 0.5000 0.7632 0.0000
11 Mg 0.7551 0.0000 0.0000
12 Mg 0.7593 0.2407 0.5000
13 Mg 0.7593 0.7593 0.5000
14 Mg 0.7632 0.5000 0.0000
15 Cu 0.0000 0.0000 0.5000
16 Sn 0.5000 0.5000 0.5000
17 O 0.0000 0.0000 0.0000
18 O 0.0000 0.2612 0.5000
19 O 0.0000 0.5000 0.0000
20 O 0.0000 0.7388 0.5000
21 O 0.2377 0.5000 0.5000
22 O 0.2502 0.2502 0.0000
23 O 0.2502 0.7498 0.0000
24 O 0.2612 0.0000 0.5000
25 O 0.5000 0.0000 0.0000
26 O 0.5000 0.2377 0.5000
27 O 0.5000 0.5000 0.0000
28 O 0.5000 0.7623 0.5000
29 O 0.7388 0.0000 0.5000
30 O 0.7498 0.2502 0.0000
31 O 0.7498 0.7498 0.0000
32 O 0.7623 0.5000 0.5000

Values from the calculation:
- E_form (meV/atom) = -2748.1
- raw total energy (eV for the cell shown) = -186.63

----------

Entry 1:
! PBE Mg2NbN3, optimized geometry; values from VASP
&SYSTEM
  ibrav = 0, nat = 12, ntyp = 3
/
ATOMIC_SPECIES
Mg 24.30 Mg.upf
Nb 92.91 Nb.upf
N 14.01 N.upf
ATOMIC_POSITIONS crystal
Mg 0.993 0.331 0.983
Mg 0.331 0.993 0.983
Mg 0.007 0.669 0.483
Mg 0.669 0.007 0.483
Nb 0.668 0.668 0.982
Nb 0.332 0.332 0.482
N 0.019 0.331 0.382
N 0.331 0.019 0.382
N 0.981 0.669 0.882
N 0.669 0.981 0.882
N 0.653 0.653 0.361
N 0.347 0.347 0.861
CELL_PARAMETERS angstrom
3.003 -5.099 0.000
3.003 5.099 0.000
0.000 0.000 5.305
! DFT formation energy: -1.14 eV/atom
! piezoelectric modulus e_max: 1.57 C/m²
! M_tot: 0.0 μB per cell
! distance to the lowest polymorph of the same formula: 3.0 kJ per mole of atoms

Entry 2:
! PBE MgNb4N4O4, optimized geometry; values from VASP
&SYSTEM
  ibrav = 0, nat = 13, ntyp = 4
/
ATOMIC_SPECIES
Mg 24.30 Mg.upf
Nb 92.91 Nb.upf
N 14.01 N.upf
O 16.00 O.upf
ATOMIC_POSITIONS crystal
Mg 0.449 0.104 0.635
Nb 0.122 0.759 0.723
Nb 0.197 0.608 0.319
Nb 0.786 0.429 0.656
Nb 0.889 0.224 0.266
N 0.057 0.888 0.358
N 0.282 0.437 0.655
N 0.736 0.531 0.335
N 0.949 0.105 0.652
O 0.619 0.765 0.701
O 0.161 0.680 0.007
O 0.848 0.306 0.986
O 0.384 0.234 0.318
CELL_PARAMETERS angstrom
-0.001 4.200 0.000
-6.334 2.102 0.062
-2.058 0.000 6.540
! DFT formation energy: -1.79 eV/atom
! M_tot: 0.0 μB per cell
! distance to the lowest polymorph of the same formula: 5.2 kJ per mole of atoms

Entry 3:
! PBE MgNb4N4O4, optimized geometry; values from VASP
&SYSTEM
  ibrav = 0, nat = 13, ntyp = 4
/
ATOMIC_SPECIES
Mg 24.30 Mg.upf
Nb 92.91 Nb.upf
N 14.01 N.upf
O 16.00 O.upf
ATOMIC_POSITIONS crystal
Mg 0.301 0.399 0.995
Nb 0.097 0.811 0.670
Nb 0.182 0.637 0.307
Nb 0.815 0.372 0.673
Nb 0.910 0.181 0.345
N 0.051 0.900 0.332
N 0.262 0.478 0.667
N 0.742 0.518 0.355
N 0.950 0.101 0.670
O 0.620 0.763 0.682
O 0.161 0.679 0.013
O 0.843 0.316 0.993
O 0.379 0.244 0.299
CELL_PARAMETERS angstrom
0.000 3.899 0.000
-7.026 1.950 0.018
-2.216 0.000 6.482
! DFT formation energy: -1.84 eV/atom
! M_tot: 0.0 μB per cell
! distance to the lowest polymorph of the same formula: 0.0 kJ per mole of atoms

Entry 4:
! PBE MgNb4N4O4, optimized geometry; values from VASP
&SYSTEM
  ibrav = 0, nat = 13, ntyp = 4
/
ATOMIC_SPECIES
Mg 24.30 Mg.upf
Nb 92.91 Nb.upf
N 14.01 N.upf
O 16.00 O.upf
ATOMIC_POSITIONS crystal
Mg 0.429 0.918 0.976
Nb 0.056 0.782 0.700
Nb 0.165 0.618 0.338
Nb 0.866 0.380 0.671
Nb 0.917 0.217 0.283
N 0.954 0.908 0.377
N 0.301 0.477 0.693
N 0.712 0.549 0.316
N 0.061 0.109 0.626
O 0.623 0.709 0.772
O 0.001 0.820 0.999
O 0.050 0.194 0.011
O 0.377 0.317 0.257
CELL_PARAMETERS angstrom
-0.243 3.937 -0.099
-6.800 2.415 0.140
-2.292 -0.018 6.300
! DFT formation energy: -1.78 eV/atom
! M_tot: 0.0 μB per cell
! distance to the lowest polymorph of the same formula: 6.2 kJ per mole of atoms

Entry 5:
>>>

### Response
Here is a geometry-optimized Mg14CuSnO16 structure from Materials Project. Energies are from GGA-PBE.

a = 8.6862 Å, b = 8.6862 Å, c = 4.2944 Å
α = 90.00°, β = 90.00°, γ = 90.00°
Element x y z (fractional)
1 Mg 0.0000 0.2449 0.0000
2 Mg 0.0000 0.5000 0.5000
3 Mg 0.0000 0.7551 0.0000
4 Mg 0.2368 0.5000 0.0000
5 Mg 0.2407 0.2407 0.5000
6 Mg 0.2407 0.7593 0.5000
7 Mg 0.2449 0.0000 0.0000
8 Mg 0.5000 0.0000 0.5000
9 Mg 0.5000 0.2368 0.0000
10 Mg 0.5000 0.7632 0.0000
11 Mg 0.7551 0.0000 0.0000
12 Mg 0.7593 0.2407 0.5000
13 Mg 0.7593 0.7593 0.5000
14 Mg 0.7632 0.5000 0.0000
15 Cu 0.0000 0.0000 0.5000
16 Sn 0.5000 0.5000 0.5000
17 O 0.0000 0.0000 0.0000
18 O 0.0000 0.2612 0.5000
19 O 0.0000 0.5000 0.0000
20 O 0.0000 0.7388 0.5000
21 O 0.2377 0.5000 0.5000
22 O 0.2502 0.2502 0.0000
23 O 0.2502 0.7498 0.0000
24 O 0.2612 0.0000 0.5000
25 O 0.5000 0.0000 0.0000
26 O 0.5000 0.2377 0.5000
27 O 0.5000 0.5000 0.0000
28 O 0.5000 0.7623 0.5000
29 O 0.7388 0.0000 0.5000
30 O 0.7498 0.2502 0.0000
31 O 0.7498 0.7498 0.0000
32 O 0.7623 0.5000 0.5000

Values from the calculation:
- E_form (meV/atom) = -2748.1
- raw total energy (eV for the cell shown) = -186.63

----------

Entry 1:
! PBE Mg2NbN3, optimized geometry; values from VASP
&SYSTEM
  ibrav = 0, nat = 12, ntyp = 3
/
ATOMIC_SPECIES
Mg 24.30 Mg.upf
Nb 92.91 Nb.upf
N 14.01 N.upf
ATOMIC_POSITIONS crystal
Mg 0.993 0.331 0.983
Mg 0.331 0.993 0.983
Mg 0.007 0.669 0.483
Mg 0.669 0.007 0.483
Nb 0.668 0.668 0.982
Nb 0.332 0.332 0.482
N 0.019 0.331 0.382
N 0.331 0.019 0.382
N 0.981 0.669 0.882
N 0.669 0.981 0.882
N 0.653 0.653 0.361
N 0.347 0.347 0.861
CELL_PARAMETERS angstrom
3.003 -5.099 0.000
3.003 5.099 0.000
0.000 0.000 5.305
! DFT formation energy: -1.14 eV/atom
! piezoelectric modulus e_max: 1.57 C/m²
! M_tot: 0.0 μB per cell
! distance to the lowest polymorph of the same formula: 3.0 kJ per mole of atoms

Entry 2:
! PBE MgNb4N4O4, optimized geometry; values from VASP
&SYSTEM
  ibrav = 0, nat = 13, ntyp = 4
/
ATOMIC_SPECIES
Mg 24.30 Mg.upf
Nb 92.91 Nb.upf
N 14.01 N.upf
O 16.00 O.upf
ATOMIC_POSITIONS crystal
Mg 0.449 0.104 0.635
Nb 0.122 0.759 0.723
Nb 0.197 0.608 0.319
Nb 0.786 0.429 0.656
Nb 0.889 0.224 0.266
N 0.057 0.888 0.358
N 0.282 0.437 0.655
N 0.736 0.531 0.335
N 0.949 0.105 0.652
O 0.619 0.765 0.701
O 0.161 0.680 0.007
O 0.848 0.306 0.986
O 0.384 0.234 0.318
CELL_PARAMETERS angstrom
-0.001 4.200 0.000
-6.334 2.102 0.062
-2.058 0.000 6.540
! DFT formation energy: -1.79 eV/atom
! M_tot: 0.0 μB per cell
! distance to the lowest polymorph of the same formula: 5.2 kJ per mole of atoms

Entry 3:
! PBE MgNb4N4O4, optimized geometry; values from VASP
&SYSTEM
  ibrav = 0, nat = 13, ntyp = 4
/
ATOMIC_SPECIES
Mg 24.30 Mg.upf
Nb 92.91 Nb.upf
N 14.01 N.upf
O 16.00 O.upf
ATOMIC_POSITIONS crystal
Mg 0.301 0.399 0.995
Nb 0.097 0.811 0.670
Nb 0.182 0.637 0.307
Nb 0.815 0.372 0.673
Nb 0.910 0.181 0.345
N 0.051 0.900 0.332
N 0.262 0.478 0.667
N 0.742 0.518 0.355
N 0.950 0.101 0.670
O 0.620 0.763 0.682
O 0.161 0.679 0.013
O 0.843 0.316 0.993
O 0.379 0.244 0.299
CELL_PARAMETERS angstrom
0.000 3.899 0.000
-7.026 1.950 0.018
-2.216 0.000 6.482
! DFT formation energy: -1.84 eV/atom
! M_tot: 0.0 μB per cell
! distance to the lowest polymorph of the same formula: 0.0 kJ per mole of atoms

Entry 4:
! PBE MgNb4N4O4, optimized geometry; values from VASP
&SYSTEM
  ibrav = 0, nat = 13, ntyp = 4
/
ATOMIC_SPECIES
Mg 24.30 Mg.upf
Nb 92.91 Nb.upf
N 14.01 N.upf
O 16.00 O.upf
ATOMIC_POSITIONS crystal
Mg 0.429 0.918 0.976
Nb 0.056 0.782 0.700
Nb 0.165 0.618 0.338
Nb 0.866 0.380 0.671
Nb 0.917 0.217 0.283
N 0.954 0.908 0.377
N 0.301 0.477 0.693
N 0.712 0.549 0.316
N 0.061 0.109 0.626
O 0.623 0.709 0.772
O 0.001 0.820 0.999
O 0.050 0.194 0.011
O 0.377 0.317 0.257
CELL_PARAMETERS angstrom
-0.243 3.937 -0.099
-6.800 2.415 0.140
-2.292 -0.018 6.300
! DFT formation energy: -1.78 eV/atom
! M_tot: 0.0 μB per cell
! distance to the lowest polymorph of the same formula: 6.2 kJ per mole of atoms

Entry 5: